• 00:49
  • Tuesday ,06 September 2016

A historic opportunity for Egypt with India and China

By-Ali Waly -dailynewsegypt

# The text is interrupted by data records
........
Density functional theory data (r²SCAN) for a geometry-optimized SmAu3 structure.

As for the electronic total energy: -46.134 eV per atom. As for the crystal system: orthorhombic. The formation energy comes out at -0.76 eV/atom. As for the total magnetization: 0.00 μB/f.u.

The structure belongs to space group Pmmn (No. 59, origin choice 2); the cell edges are 5.0947, 6.4141 and 5.0755 Å and the angles 90.00°, 90.00° and 90.00°. The asymmetric unit holds Sm at (0.2500, 0.2500, 0.1573), Au at (0.2500, 0.5147, 0.6605) and Au at (0.2500, 0.7500, 0.1719).

Density functional theory data (r²SCAN) for a geometry-optimized NdP12Ru4 structure.

As for the electronic total energy: -14.794 eV per atom. As for the crystal system: cubic. The formation energy comes out at -0.73 eV/atom. As for the total magnetization: 0.00 μB/f.u.

The structure belongs to space group Im-3 (No. 204); the cell edges are 8.0659, 8.0659 and 8.0659 Å and the angles 90.00°, 90.00° and 90.00°. The asymmetric unit holds Nd at (0.0000, 0.0000, 0.0000), P at (0.0000, 0.3582, 0.1432) and Ru at (0.2500, 0.2500, 0.2500).

Density functional theory data (r²SCAN) for a geometry-optimized Ti2NiS4 structure.

As for the electronic total energy: -11.310 eV per atom. As for the crystal system: monoclinic. The formation energy comes out at -1.31 eV/atom. As for the total magnetization: 0.16 μB/f.u.

The structure belongs to space group C2/m (No. 12); the cell edges are 12.7523, 3.4107 and 5.8986 Å and the angles 90.00°, 117.44° and 90.00°. The asymmetric unit holds Ti at (0.2430, 0.0000, 0.2363), Ni at (0.0000, 0.5000, 0.5000), S at (0.1201, 0.5000, 0.9477) and S at (0.1241, 0.0000, 0.4619).

| no. | mass density (g/cm³) |
| --- | --- |
| 1 | 14.8 |
| 2 | 5.8 |
| 3 | 4.1 |

=====

[1]
14
Lattice="4.9512 -1.6915 -2.2421 2.4507 4.7898 1.8585 -2.7519 -3.3877 3.6541" Properties=species:S:1:pos:R:3 comment="LiCoNiO4, optimized geometry, DFT PBE with a Hubbard U" rho_g_cm3=4.8 spacegroup=Imma ef_kj_per_mol_fu=-927.8 volume_a3_per_atom=9.335 pbc="T T T"
Li 2.1062 3.1457 2.2579
Li 2.5437 -3.4351 1.0127
Co -0.1506 0.7010 2.7563
Co 3.7009 1.5492 -0.1918
Ni 2.3250 -0.1447 1.6353
Ni 2.4756 -0.8457 -1.1210
O 0.5813 -0.8339 1.8717
O 1.6747 1.2867 2.7071
O 2.6436 -0.9509 3.3291
O 0.4467 -0.2074 4.3350
O 4.2032 -0.0820 -1.0644
O 2.9752 -1.5761 0.5635
O 2.0064 0.6615 -0.0586
O 4.0686 0.5445 1.3988

---

[2]
60
Lattice="-2.7180 -0.7325 8.3742 -4.7284 -7.3370 -2.1765 7.8891 -5.6959 2.0623" Properties=species:S:1:pos:R:3 comment="Li3VAs2O9, optimized geometry, DFT PBE with a Hubbard U" rho_g_cm3=3.1 spacegroup=Pna2_1 ef_kj_per_mol_fu=-3011.9 volume_a3_per_atom=13.175 pbc="T T T"
Li 0.9004 -9.9596 0.5569
Li -2.2367 -5.8588 -0.1026
Li -1.2242 -6.8331 2.2111
Li 1.6004 -11.4189 2.7267
Li 1.1974 -8.8258 3.0261
Li -3.7040 -7.4626 1.5545
Li 0.2388 -3.6181 5.5571
Li 3.3760 -7.7190 6.2166
Li -1.6686 -2.4843 7.1075
Li 1.1560 -7.0701 7.6231
Li -1.3842 -5.1094 7.1735
Li 3.5172 -6.4726 8.6451
V 1.5618 -4.4590 2.4261
........



Tuesday ,06 September 2016

A historic opportunity for Egypt with India and China

India learned its lesson from China, and knows that industrial development is the best way for India’s economy to grow.

### Unrelated to this article: calculated crystals
Entry 1:
Here is crystalline Ca2GaPd2 at its relaxed geometry from the Materials Project. Energies are from PBE.

Calculated values
Formation energy in eV per atom: -0.7839

a b c (Å): 5.740 5.740 7.880
angles (deg): 78.64 78.64 60.10
Fractional positions:
Pd 0.996 0.260 0.997
Ca 0.516 0.784 0.850
Ca 0.784 0.516 0.350
Ga 0.134 0.866 0.250
Ga 0.866 0.134 0.750
Ca 0.216 0.484 0.650
Pd 0.740 0.004 0.503
Pd 0.004 0.740 0.003
Ca 0.484 0.216 0.150
Pd 0.260 0.996 0.497


Entry 2:
Here is crystalline CaGaPt at its relaxed geometry from the Materials Project. Energies are from PBE.

Calculated values
Formation energy in eV per atom: -0.9194

a b c (Å): 4.471 7.174 7.622
angles (deg): 90.00 90.00 90.00
Fractional positions:
Pt 0.750 0.204 0.102
Ca 0.250 0.011 0.312
Pt 0.250 0.296 0.602
Pt 0.250 0.796 0.898
Ca 0.250 0.511 0.188
Ga 0.250 0.166 0.922
Pt 0.750 0.704 0.398
Ca 0.750 0.489 0.812
Ga 0.750 0.834 0.078
Ga 0.750 0.334 0.422
Ga 0.250 0.666 0.578
Ca 0.750 0.989 0.688


Entry 3:
Here is crystalline Ca3Ga2Pt2 at its relaxed geometry from the Materials Project. Energies are from PBE.

Calculated values
Formation energy in eV per atom: -0.8577

a b c (Å): 5.809 7.929 13.914
angles (deg): 90.00 90.00 90.00
Fractional positions:
Ca 0.143 0.893 0.902
Ca 0.143 0.893 0.598
Pt 0.361 0.532 0.906
Pt 0.361 0.968 0.094
Ca 0.857 0.393 0.598
Pt 0.639 0.468 0.094
Ga 0.378 0.250 0.500
Pt 0.639 0.468 0.406
Ca 0.143 0.607 0.402
Ca 0.857 0.107 0.402
Ca 0.371 0.243 0.750
Ca 0.857 0.107 0.098
Ga 0.142 0.908 0.250
Pt 0.361 0.968 0.406
Ca 0.371 0.257 0.250
Ga 0.378 0.250 0.000
Pt 0.639 0.032 0.594
Ga 0.858 0.092 0.750
Pt 0.639 0.032 0.906
Ga 0.622 0.750 0.500
Ca 0.629 0.743 0.750
Ca 0.857 0.393 0.902
Ga 0.142 0.592 0.750
Pt 0.361 0.532 0.594
Ca 0.629 0.757 0.250
Ga 0.622 0.750 0.000
Ca 0.143 0.607 0.098
Ga 0.858 0.408 0.250


Entry 4:
Here is crystalline CaGa2S4 at its relaxed geometry from the Materials Project. Energies are from PBE.

Calculated values
Magnetization in Bohr magnetons per cell: 0.000
Energy relative to the lowest polymorph listed for this composition in kJ/mol of formula units: 0
Formation energy in eV per atom: -1.4051
Energy with MP2020 corrections in eV/atom: -4.920

a b c (Å): 14.377 11.887 11.840
angles (deg): 74.59 52.85 52.55
Fractional positions:
S 0.538 0.542 0.211
S 0.708 0.712 0.541
S 0.542 0.538 0.709
S 0.211 0.709 0.538
Ca 0.000 0.000 0.000
Ga 0.593 0.157 0.266
Ca 0.248 0.248 0.752
Ga 0.265 0.984 0.093
Ga 0.237 0.512 0.489
S 0.279 0.968 0.782
Ga 0.761 0.488 0.013
S 0.811 0.941 0.775
S 0.472 0.775 0.941
S 0.038 0.541 0.212
S 0.970 0.782 0.968
S 0.039 0.541 0.712
S 0.282 0.971 0.280
S 0.775 0.472 0.811
S 0.212 0.709 0.038
Ca 0.752 0.752 0.248
S 0.941 0.811 0.472
Ca 0.250 0.250 0.250
S 0.712 0.708 0.039
S 0.782 0.970 0.279
Ga 0.984 0.265 0.657
S 0.309 0.439 0.778
Ga 0.266 0.985 0.593
S 0.541 0.038 0.209
S 0.439 0.309 0.475
S 0.041 0.038 0.709
Ca 0.002 0.002 0.498
S 0.971 0.282 0.468
Ca 0.500 0.500 0.500
Ga 0.093 0.657 0.265
S 0.475 0.778 0.439

Prime minister of India Narendra Modi knows this very well. After he implemented this strategy in Gujarat, he ruled for 13 years and achieved a great deal of success.
Therefore, after his appointment as prime minister, he immediately launched the ‘Made in India’ initiative to encourage multinational, as well as national companies to manufacture their products in India.
Through this initiative, India is seeking to reach an industrial output volume similar to China’s (India currently achieves 10% of what China achieves).
This goal is a very ambitious and radical change in India’s plan, which was focused on developing the service sector, not the industrial one, believing that this was enough to achieve success.
Modi began to set goals for each sector. For example, India is currently exporting $36bn of its textile and garment sector. Thus, it ranks second after China, as China’s exports in that sector amount to $299bn.
What is the goal set by Modi for this sector in India? For exports to grow from $36bn currently to $221bn before 2021.
How does India think it will achieve that? It established a ministry for spinning and weaving and brought forward many incentives, including a 20% grant for investors on their investments and an $18 monthly incentive from the state for every new employee. That incentive increases to $22 for every new female employee in order to encourage women to work.
Why? Because they are aware of the importance of putting the manufacturers in one place─in other words: clustering.
Modi has a very clear vision for what is needed to be done to develop India. What is hindering him is the democracy in India.
Why? Because decision-making is very slow, compared to China, which is ruled by a single party. The west had tried to bring down the party in the late 1980s, by pushing people to demand more freedom of opinion and freedom of expression. However, divine will saw the party remain in control and become aware that it has to speed up the economic growth rate to maintain stability and unity in the country.
If you are wondering how Egyptian President Abdel Fattah Al-Sisi would benefit from his visit to India, I’ll tell you that the most important thing that we can learn from them is the ‘Made in India’ initiative. They now plan to enhance their industry to be like China, which has become the world’s largest economic power.
But why did we visit the student (India) and ignore the teacher (China)? China and India’s economy in 1990 were almost the same in volume: the GDP in China stood at $356bn, while India’s GDP was $326bn. More than two decades later, China’s economy is now five times the size of the Indian economy: China’s GDP amounts to $11tr, India’s GDP $2tr, and Egypt’s GDP $300bn.
The teacher has considerable expertise, and fortunately, he wants to transfer it beyond China through the Go Global initiative, and Egypt should learn the lesson before it is too late.
President Al-Sisi’s current visit to China and India is a historic opportunity for Egypt to learn and start developing, rather than just watch other countries while they are learning and progressing.